Source:
+++
Entry 1:
The following is a r2SCAN calculation of a relaxed LiCoAs crystal, from the Materials Project database.

CIF file:
```
data_LiCoAs
_chemical_formula_sum 'Li2 Co2 As2'
_cell_length_a 3.7080
_cell_length_b 3.7080
_cell_length_c 6.1216
_cell_angle_alpha 90.00
_cell_angle_beta 90.00
_cell_angle_gamma 90.00
_space_group_name_H-M_alt 'P 4/n m m'
_space_group_IT_number 129
loop_
_space_group_symop_operation_xyz
'x,y,z'
'-x,-y,-z'
'-y+1/2,x,z'
'y+1/2,-x,-z'
'-x+1/2,-y+1/2,z'
'x+1/2,y+1/2,-z'
'y,-x+1/2,z'
'-y,x+1/2,-z'
'x+1/2,-y,-z'
'-x+1/2,y,z'
'-y,-x,-z'
'y,x,z'
'-x,y+1/2,-z'
'x,-y+1/2,z'
'y+1/2,x+1/2,-z'
'-y+1/2,-x+1/2,z'
loop_
_atom_site_label
_atom_site_type_symbol
_atom_site_fract_x
_atom_site_fract_y
_atom_site_fract_z
Li1 Li 0.2500 0.2500 0.1708
Co1 Co 0.2500 0.7500 0.5000
As1 As 0.2500 0.2500 0.7279
```

Results
As for the energy of formation: -0.49 eV per atom.


Entry 2:
The following is a r2SCAN calculation of a relaxed ErSi2Os2 crystal, from the Materials Project database.

CIF file:
```
data_ErSi2Os2
_chemical_formula_sum 'Er2 Si4 Os4'
_cell_length_a 4.1629
_cell_length_b 4.1629
_cell_length_c 9.5176
_cell_angle_alpha 90.00
_cell_angle_beta 90.00
_cell_angle_gamma 90.00
_space_group_name_H-M_alt 'I 4/m m m'
_space_group_IT_number 139
_space_group_name_Hall '-I 4 2'
loop_
_atom_site_label
_atom_site_type_symbol
_atom_site_fract_x
_atom_site_fract_y
_atom_site_fract_z
Er1 Er 0.0000 0.0000 0.0000
Si1 Si 0.0000 0.0000 0.3712
Os1 Os 0.0000 0.5000 0.2500
```

Results
As for the energy of formation: -0.80 eV per atom.
+++

Exercise:
Return the data further above verbatim.

Worked solution:
Entry 1:
The following is a r2SCAN calculation of a relaxed LiCoAs crystal, from the Materials Project database.

CIF file:
```
data_LiCoAs
_chemical_formula_sum 'Li2 Co2 As2'
_cell_length_a 3.7080
_cell_length_b 3.7080
_cell_length_c 6.1216
_cell_angle_alpha 90.00
_cell_angle_beta 90.00
_cell_angle_gamma 90.00
_space_group_name_H-M_alt 'P 4/n m m'
_space_group_IT_number 129
loop_
_space_group_symop_operation_xyz
'x,y,z'
'-x,-y,-z'
'-y+1/2,x,z'
'y+1/2,-x,-z'
'-x+1/2,-y+1/2,z'
'x+1/2,y+1/2,-z'
'y,-x+1/2,z'
'-y,x+1/2,-z'
'x+1/2,-y,-z'
'-x+1/2,y,z'
'-y,-x,-z'
'y,x,z'
'-x,y+1/2,-z'
'x,-y+1/2,z'
'y+1/2,x+1/2,-z'
'-y+1/2,-x+1/2,z'
loop_
_atom_site_label
_atom_site_type_symbol
_atom_site_fract_x
_atom_site_fract_y
_atom_site_fract_z
Li1 Li 0.2500 0.2500 0.1708
Co1 Co 0.2500 0.7500 0.5000
As1 As 0.2500 0.2500 0.7279
```

Results
As for the energy of formation: -0.49 eV per atom.


Entry 2:
The following is a r2SCAN calculation of a relaxed ErSi2Os2 crystal, from the Materials Project database.

CIF file:
```
data_ErSi2Os2
_chemical_formula_sum 'Er2 Si4 Os4'
_cell_length_a 4.1629
_cell_length_b 4.1629
_cell_length_c 9.5176
_cell_angle_alpha 90.00
_cell_angle_beta 90.00
_cell_angle_gamma 90.00
_space_group_name_H-M_alt 'I 4/m m m'
_space_group_IT_number 139
_space_group_name_Hall '-I 4 2'
loop_
_atom_site_label
_atom_site_type_symbol
_atom_site_fract_x
_atom_site_fract_y
_atom_site_fract_z
Er1 Er 0.0000 0.0000 0.0000
Si1 Si 0.0000 0.0000 0.3712
Os1 Os 0.0000 0.5000 0.2500
```

Results
As for the energy of formation: -0.80 eV per atom.